Are robot weapons less responsible than child soldiers?

-- Attached: calculated crystals --
=====
Cs2TlSi2O6: theoretical powder diffractogram (Cu Kα, 1.54184 Å), based on the PBE geometry in Alexandria.

Atomic structure:
abc: 7.5347 7.5347 7.5347
angles: 48.44 48.44 48.44
Fractional positions:
Cs  0.2088  0.2088  0.2088
Cs  0.7912  0.7912  0.7912
Tl  0.0000  0.0000  0.0000
Si  0.4090  0.4090  0.4090
Si  0.5910  0.5910  0.5910
O  0.2616  0.2616  0.7084
O  0.2616  0.7084  0.2616
O  0.2916  0.7383  0.7383
O  0.7084  0.2616  0.2616
O  0.7384  0.2916  0.7384
O  0.7384  0.7384  0.2916

Top 10 peaks for 5° ≤ 2θ ≤ 70°, in order of rising 2θ:
| 2θ (°) | I_rel |
| --- | --- |
| 17.15 | 44 |
| 24.42 | 32 |
| 27.93 | 100 |
| 28.89 | 78 |
| 38.18 | 23 |
| 40.61 | 31 |
| 48.81 | 19 |
| 50.60 | 32 |
| 50.76 | 19 |
| 67.30 | 16 |



K3In4Au7: theoretical powder diffractogram (Cu Kα, 1.54184 Å), based on the PBE geometry in Alexandria.

Atomic structure:
abc: 8.9703 8.9703 10.5604
angles: 124.81 124.81 30.65
Fractional positions:
K  0.0000  0.0000  0.0000
K  0.3293  0.3293  0.3244
K  0.6707  0.6707  0.6756
In  0.1304  0.1304  0.4070
In  0.3171  0.3171  0.9693
In  0.6829  0.6829  0.0307
In  0.8696  0.8696  0.5930
Au  0.0000  0.0000  0.5000
Au  0.1173  0.1173  0.8407
Au  0.3186  0.3186  0.7011
Au  0.4937  0.4937  0.7347
Au  0.5063  0.5063  0.2653
Au  0.6814  0.6814  0.2989
Au  0.8827  0.8827  0.1593

Top 10 peaks for 5° ≤ 2θ ≤ 70°, in order of rising 2θ:
| 2θ (°) | I_rel |
| --- | --- |
| 16.80 | 85 |
| 20.53 | 73 |
| 31.60 | 72 |
| 32.08 | 100 |
| 37.41 | 70 |
| 37.95 | 91 |
| 40.74 | 45 |
| 41.58 | 52 |
| 41.77 | 36 |
| 43.46 | 36 |



Tl5Sn4Pb: theoretical powder diffractogram (Cu Kα, 1.54184 Å), based on the PBE geometry in Alexandria.

Atomic structure:
abc: 3.4134 3.4138 25.5129
angles: 90.00 90.00 96.74
Fractional positions:
Tl  0.0000  0.0000  0.0000
Tl  0.0008  0.0009  0.6042
Tl  0.0010  0.0009  0.8019
Tl  0.9990  0.9991  0.1981
Tl  0.9992  0.9991  0.3958
Sn  0.5003  0.4970  0.2975
Sn  0.4996  0.4995  0.0993
Sn  0.5004  0.5005  0.9007
Sn  0.4997  0.5030  0.7025
Pb  0.5000  0.5000  0.5000

Top 10 peaks for 5° ≤ 2θ ≤ 70°, in order of rising 2θ:
| 2θ (°) | I_rel |
| --- | --- |
| 17.38 | 3 |
| 26.29 | 3 |
| 31.69 | 100 |
| 35.17 | 38 |
| 39.75 | 14 |
| 50.60 | 14 |
| 54.11 | 23 |
| 60.94 | 31 |
| 66.19 | 12 |
| 67.13 | 12 |



Please write out number 1 again, unchanged.
Cs2TlSi2O6: theoretical powder diffractogram (Cu Kα, 1.54184 Å), based on the PBE geometry in Alexandria.

Atomic structure:
abc: 7.5347 7.5347 7.5347
angles: 48.44 48.44 48.44
Fractional positions:
Cs  0.2088  0.2088  0.2088
Cs  0.7912  0.7912  0.7912
Tl  0.0000  0.0000  0.0000
Si  0.4090  0.4090  0.4090
Si  0.5910  0.5910  0.5910
O  0.2616  0.2616  0.7084
O  0.2616  0.7084  0.2616
O  0.2916  0.7383  0.7383
O  0.7084  0.2616  0.2616
O  0.7384  0.2916  0.7384
O  0.7384  0.7384  0.2916

Top 10 peaks for 5° ≤ 2θ ≤ 70°, in order of rising 2θ:
| 2θ (°) | I_rel |
| --- | --- |
| 17.15 | 44 |
| 24.42 | 32 |
| 27.93 | 100 |
| 28.89 | 78 |
| 38.18 | 23 |
| 40.61 | 31 |
| 48.81 | 19 |
=====
-- So much for the calculated crystals --

This post is literally a letter home.  My dad asked me whether instructing an autonomous weapon was really that different from instructing soldiers like child soldiers.  I'm not sure, but here's my best guess.  Sorry for the lack of attribution; I may get to that later.

**Between two parts of the article: records of crystals:**
┌──
Structure and computed powder diffractogram of CuH (the GGA-PBE geometry in OQMD; λ = 1.5418 Å (Cu Kα)).
Neutral-atom scattering factors, no anomalous dispersion.

Cell and atoms:
Cell lengths 2.482, 2.482, 2.482 Å; angles 90.00, 90.00, 90.00 degrees
Element x y z (fractional)
Cu1 0.000 0.000 0.000
H1 0.500 0.500 0.500

Largest 5 diffraction maxima, low angle first, 2θ from 10° to 90°:
2θ/deg	I/Imax
36.19	100
52.12	71
65.10	22
76.81	10
87.99	27

Structure and computed powder diffractogram of K2HfCuH6 (the GGA-PBE geometry in OQMD; λ = 1.5418 Å (Cu Kα)).
Neutral-atom scattering factors, no anomalous dispersion.

Cell and atoms:
Cell lengths 9.781, 5.013, 10.992 Å; angles 90.00, 90.00, 90.00 degrees
Element x y z (fractional)
K1 0.069 0.250 0.158
K2 0.160 0.250 0.767
K3 0.340 0.750 0.267
K4 0.431 0.750 0.658
K5 0.569 0.250 0.342
K6 0.660 0.250 0.733
K7 0.840 0.750 0.233
K8 0.931 0.750 0.842
Hf1 0.086 0.750 0.518
Hf2 0.414 0.250 0.018
Hf3 0.586 0.750 0.982
Hf4 0.914 0.250 0.482
Cu1 0.238 0.250 0.481
Cu2 0.262 0.750 0.981
Cu3 0.738 0.250 0.019
Cu4 0.762 0.750 0.519
H1 0.049 0.019 0.385
H2 0.049 0.481 0.385
H3 0.095 0.250 0.555
H4 0.159 0.750 0.685
H5 0.216 0.050 0.977
H6 0.216 0.450 0.977
H7 0.284 0.550 0.477
H8 0.284 0.950 0.477
H9 0.341 0.250 0.185
H10 0.405 0.750 0.055
H11 0.451 0.519 0.885
H12 0.451 0.981 0.885
H13 0.549 0.019 0.115
H14 0.549 0.481 0.115
H15 0.595 0.250 0.945
H16 0.659 0.750 0.815
H17 0.716 0.050 0.523
H18 0.716 0.450 0.523
H19 0.784 0.550 0.023
H20 0.784 0.950 0.023
H21 0.841 0.250 0.315
H22 0.905 0.750 0.445
H23 0.951 0.519 0.615
H24 0.951 0.981 0.615

Largest 12 diffraction maxima, low angle first, 2θ from 10° to 90°:
2θ/deg	I/Imax
12.11	100
16.13	50
25.97	34
30.26	57
32.58	14
33.80	67
35.83	22
37.95	13
41.21	21
44.78	16
53.38	11
53.49	12

Structure and computed powder diffractogram of Mg2CuH6Ir (the GGA-PBE geometry in OQMD; λ = 1.5418 Å (Cu Kα)).
Neutral-atom scattering factors, no anomalous dispersion.

Cell and atoms:
Cell lengths 4.937, 4.937, 4.937 Å; angles 60.00, 60.00, 60.00 degrees
Element x y z (fractional)
Mg1 0.250 0.250 0.250
Mg2 0.750 0.750 0.750
Cu1 0.000 0.000 0.000
H1 0.250 0.250 0.750
H2 0.250 0.750 0.250
H3 0.250 0.750 0.750
H4 0.750 0.250 0.250
H5 0.750 0.250 0.750
H6 0.750 0.750 0.250
Ir1 0.500 0.500 0.500

Largest 12 diffraction maxima, low angle first, 2θ from 10° to 90°:
2θ/deg	I/Imax
22.05	35
25.52	58
36.40	100
42.96	19
44.98	16
52.42	18
57.54	9
59.18	23
65.49	35
77.31	11
82.98	11
88.59	16

- What is the formula in the first record?
  CuH

What did the first record say?
Structure and computed powder diffractogram of CuH (the GGA-PBE geometry in OQMD; λ = 1.5418 Å (Cu Kα)).
Neutral-atom scattering factors, no anomalous dispersion.

Cell and atoms:
Cell lengths 2.482, 2.482, 2.482 Å; angles 90.00, 90.00, 90.00 degrees
Element x y z (fractional)
Cu1 0.000 0.000 0.000
H1 0.500 0.500 0.500

Largest 5 diffraction maxima, low angle first, 2θ from 10° to 90°:
2θ/deg	I/Imax
36.19	100
52.12	71
65.10	22
└──

That's an awesome question -- I hardly ever get that good of question in talks! 
There are two answers:  one assuming the technology works, and the other one assuming not.  I'll do the second one first, because it's easy and probably temporary.  Right now, instructing a robot is nothing like training a person -- it doesn't see, think or act anything like a person, so it's hard for people giving it the instructions to do something similar.  So it's relatively easy with current robots to keep their "instruction" more along the lines of a machine you have to learn how to use, like a sophisticated car or phone.
However, we can imagine that robots become more directly instructable in the future.  What I love about your question is that it is really not about robots as much as about people.  As I understand it, only about 1 in 5 Americans shot anyone in WWI & II.  They couldn't bring themselves to do it, or were afraid -- I don't know.  Apparently we just are pretty sure somehow that they didn't fire their guns.  (I learned this some time ago, you may know more given your involvement in the peace fellowship.)
As I understand it, after the Korean war and the tactics used there against our soldiers, the American (and probably other country's) military became fascinated by the idea of brain washing.  Could you make it more likely that someone would do what you want?   Could you make the behaviour of a unit more reliable and predictable, and thus easier to plan around?  That's what basic training is about.  It's not just about becoming fit, it's about becoming very likely to follow orders.  You are indoctrinated intellectually and also physically coerced to be very responsive to your colleagues and your commanders.

However, in general we still want soldiers to think, and there is still a notion of responsibility for the soldier as well as their commanding officers. What a lot of the military philosophy about autonomous robot weapons deals with is how can we make robots responsible, particularly when there's no real way to punish them?
My own answer to that is that we shouldn't -- we should leave responsibility at the hands of the operators and the commanders, and as "operators" increasingly become commanders (if operating gets easier due to localised/limited autonomy), that doesn't change anything except that the commanders have fewer scape goats for their actions.  There are other writers of this opinion too.
So, what about child soldiers?  I think depending on their age, they also cannot be seen as responsible for their actions.  Similarly for any soldier that has limited freedom of action due to punishment that might be meted against them or their family.  I read about Serbian soldiers who refused to fight in Kosovo, asking their parents' permission first.  The parents gave their permission and accepted that their sons were returned to them in body bags rather than have them commit war crimes.  Obviously those people are heroes, but its harder to blame their colleagues for not doing the same than it would be to blame a "rogue" soldier that commits a crime on their own.  Yet even there, much of the behaviour at Abu Ghraib, while obviously morally wrong on the individual level, was also a consequence of people being put in positions for which they had no or inappropriate training and/or supervision.  So the people who created those situations were at least as culpable as the people who performed the actions, though again in this case this is in no way to say the people who performed the actions were not culpable.  More than one person can be at fault for the same action, and in different ways.
Which is all to say that absolutely, the deployment of weapons and of soldiers is the responsibility of commanding officers, and in that way robots are like any kind of solider.  But since Nuremberg and probably a lot earlier we have also held adult humans responsible for recognising and responding when orders are wrong.  Robots may even be able to assist with this as well, but my point is that ethically the buck should never stop with them.
One other interesting thing -- some ethicists are worried that precisely because you can expect, and in fact must expect robots to exactly obey rules and laws, that they may create hazards e.g. in driving by showing less judgement or "common sense" than a human would, e.g. by stopping suddenly to avoid hitting something rather than swerving slightly out of a lane even when there's no one coming the other direction.  Even if we could program the common sense in (which might not be hard), the question is how the law / liability would respond if something went wrong while a robot car was not perfectly within the law.  I suspect that robots will stay within the law, and humans will learn to adjust their expectations accordingly, and that autonomously-driving cars will be clearly identified just like learner cars are now, to make this all easier.

They talked about the military use of robots that would be programmed to decide who or what to shoot with out human interaction. Is that very far removed from basic training for soldiers, especially in countries that use child soldiers? 

Joanna Bryson


Patricia Lowe said…
The problem for me is after the events. A robot can be decommissioned and will not attack without orders. A child soldier has his life affected at every level, with ramifications reaching far beyond his immediate actions - eg in making relationships, and far into the future.
Patricia Lowe said…
Above comment is from me!
Joanna Bryson said…
Hi, yes, I agree it's completely ethical to use child soldiers. Using children in war is an abuse of a child, but it's impossible to abuse a robot in that same sense, a robot has no human rights. It is possible a child may be more capable of avoiding doing war crimes themselves than a robot (particularly if the child is relatively mature), so it's *possible* that for the other people involved they would be less well off if a robot is used. But I think that is also very unlikely. But my post is not about either of those two points. The point of my post is that neither robots nor children should be held responsible for their actions in war.